(Listing)
<<<
1.
Compound: Sr2TlGe2
Source: the Alexandria database
Functional: GGA-PBE
Structure: optimized geometry

Computed properties:
- Total magnetic moment: 0.00 μB/f.u.
- Space-group type: I4/mmm, No. 139
- Formation enthalpy at 0 K: -0.1757 eV per atom

Cell: 5.3491 5.3491 7.0404 Å, 67.67 67.67 90.00°
Last column: nearest neighbours and their distance in Å.
Element x y z (fractional)
Sr1 0.2500 0.7500 0.5000  4 Ge 3.22
Tl1 0.0000 0.0000 0.0000  8 Ge 3.96, 8 Sr 4.00
Ge1 0.4009 0.4009 0.1982  1 Ge 2.35
Sr2 0.7500 0.2500 0.5000  4 Ge 3.22
Ge2 0.5991 0.5991 0.8018  1 Ge 2.35

---

2.
Compound: Mg3IO
Source: the Alexandria database
Functional: GGA-PBE
Structure: optimized geometry

Computed properties:
- E_form (uncorrected): -619 meV per atom
- Total magnetic moment: 0.00 μB/f.u.
- Space-group type: Pm-3m, No. 221
- Energy above the most stable polymorph in this dataset: 0 meV per atom

Cell: 4.6710 4.6710 4.6710 Å, 90.00 90.00 90.00°
Last column: nearest neighbours and their distance in Å.
Element x y z (fractional)
Mg1 0.0000 0.5000 0.0000  2 O 2.34
Mg2 0.0000 0.0000 0.5000  2 O 2.34
O1 0.0000 0.0000 0.0000  6 Mg 2.34
I1 0.5000 0.5000 0.5000  12 Mg 3.30
Mg3 0.5000 0.0000 0.0000  2 O 2.34

---

3.
Compound: KNa3H8Pd2
Source: the Alexandria database
Functional: GGA-PBE
Structure: optimized geometry

Computed properties:
- Total magnetic moment: 0.00 μB/f.u.
- Space-group type: P-3m1, No. 164

Cell: 5.0202 5.0202 8.9926 Å, 90.00 90.00 120.00°
Last column: nearest neighbours and their distance in Å.
Element x y z (fractional)
H1 0.8405 0.6810 0.7476  1 Pd 1.69
H2 0.6667 0.3333 0.0180  1 Pd 1.68
Na1 0.0000 0.0000 0.0000  12 H 2.66-2.90
Na2 0.3333 0.6667 0.7536  1 H 2.05
H3 0.1595 0.3190 0.2524  1 Pd 1.69
K1 0.0000 0.0000 0.5000  6 H 2.62
Pd1 0.3333 0.6667 0.1686  4 H 1.68-1.69
H4 0.3333 0.6667 0.9820  1 Pd 1.68
Na3 0.6667 0.3333 0.2464  1 H 2.05
H5 0.3190 0.1595 0.7476  1 Pd 1.69
H6 0.8405 0.1595 0.7476  1 Pd 1.69
H7 0.1595 0.8405 0.2524  1 Pd 1.69
Pd2 0.6667 0.3333 0.8314  4 H 1.68-1.69
H8 0.6810 0.8405 0.2524  1 Pd 1.69

---

4.
Compound: AcSO5
Source: the Alexandria database
Functional: GGA-PBE
Structure: optimized geometry

Computed properties:
- E_form (uncorrected): -1966 meV per atom
- Total magnetic moment: 1.00 μB/f.u.
- Space-group type: Cm, No. 8

Cell: 5.0408 6.7790 5.0214 Å, 42.30 59.87 68.17°
Last column: nearest neighbours and their distance in Å.
Element x y z (fractional)
Ac1 0.9067 0.7975 0.3891  12 O 2.67-2.95
O1 0.5702 0.7103 0.1493  1 S 1.49
O2 0.2494 0.2820 0.7356  1 S 1.48
O3 0.7330 0.2820 0.7356  1 S 1.48
O4 0.2350 0.7921 0.7379  3 Ac 2.85-2.93, 3 O 2.92-2.93
O5 0.7339 0.2841 0.2480  1 S 1.48
S1 0.5717 0.3826 0.4739  4 O 1.48-1.49

---

5.
Compound: SrZnF3
Source: the Alexandria database
Functional: GGA-PBE
Structure: optimized geometry

Computed properties:
- E_form (uncorrected): -2923 meV per atom
- Total magnetic moment: 0.00 μB/f.u.
- Space-group type: Ama2, No. 40
- Energy above the most stable polymorph in this dataset: 0 meV per atom

Cell: 3.7897 4.2681 10.1697 Å, 102.11 90.00 90.00°
Last column: nearest neighbours and their distance in Å.
Element x y z (fractional)
F1 0.7500 0.7774 0.2185  2 Zn 2.28, 2 Sr 2.49-2.52
Zn1 0.2500 0.7572 0.0917  3 F 2.12-2.28
F2 0.7500 0.9214 0.4964  4 Sr 2.43-2.58
Sr1 0.2500 0.9976 0.6496  8 F 2.43-2.58
F3 0.7500 0.0589 0.8107  1 Zn 2.12
F4 0.2500 0.2483 0.1893  1 Zn 2.12
F5 0.2500 0.4250 0.5036  4 Sr 2.43-2.58
F6 0.2500 0.5590 0.7815  2 Zn 2.28, 2 Sr 2.49-2.52
Zn2 0.7500 0.6654 0.9083  3 F 2.12-2.28
Sr2 0.7500 0.3480 0.3504  8 F 2.43-2.58

---

6.
Compound: Nd6Ho2Tm3Mg
Source: the Alexandria database
Functional: GGA-PBE
Structure: optimized geometry

Computed properties:
- Total magnetic moment: 0.00 μB/f.u.
- Space-group type: C2/m, No. 12
- Formation enthalpy at 0 K: 0.0229 eV per atom

Cell: 6.2135 6.2135 11.7292 Å, 95.08 95.08 120.04°
Last column: nearest neighbours and their distance in Å.
Element x y z (fractional)
>>>

(Brief)
Next, filter the notes further up: keep the lines with the word "Mg".

(Done)
O1 0.0000 0.0000 0.0000  6 Mg 2.34
I1 0.5000 0.5000 0.5000  12 Mg 3.30